Comparison of SWAT-based ecohydrological modeling in Rawa Pening Catchment Area, Indonesia
Abstract The Soil and Water Assessment Tool (SWAT) is an ecohydrological model that has
been widely applied to assess water quality and watershed management. This tool also has …
been widely applied to assess water quality and watershed management. This tool also has …
Survey on the resolution and accuracy of input data validity for SWAT-based hydrological models
This review was conducted to highlight the most influential factors and specify the trends
reducing uncertainty and increasing the accuracy of soil and water assessment tool (SWAT) …
reducing uncertainty and increasing the accuracy of soil and water assessment tool (SWAT) …
A comparison of the performance of SWAT and artificial intelligence models for monthly rainfall–runoff analysis in the Peddavagu River Basin, India
Abstract Rainfall–runoff (R–R) analysis is essential for sustainable water resource
management. In the present study focusing on the Peddavagu River Basin, various …
management. In the present study focusing on the Peddavagu River Basin, various …
New input selection procedure for machine learning methods in estimating daily global solar radiation
Selection of optimal model inputs is a challenging issue particularly for non-linear and
dynamic systems. In this study, a new input selection method, procrustes analysis (PA), was …
dynamic systems. In this study, a new input selection method, procrustes analysis (PA), was …
Effects of single‐and multi‐site calibration strategies on hydrological model performance and parameter sensitivity of large‐scale semi‐arid and semi‐humid …
L Wu, X Liu, Z Yang, Y Yu, X Ma - Hydrological Processes, 2022 - Wiley Online Library
In large‐scale watersheds, only the calibration of parameters for the outlet may ignore
spatial heterogeneity and fail to meet the simulation accuracy of local areas. Based on the …
spatial heterogeneity and fail to meet the simulation accuracy of local areas. Based on the …
Effective management of the watershed in response to historical climate change using a GIS-based multi-criteria decision analysis (MCDA)
Watershed management is necessary to conserve water resources because the watershed
hydrological processes are more affected by climate and land use change, resulting in the …
hydrological processes are more affected by climate and land use change, resulting in the …
[HTML][HTML] Parameter sensitivity analysis of SWAT modeling in the Upper Heihe River Basin using four typical approaches
X **ang, T Ao, Q **ao, X Li, L Zhou, Y Chen, Y Bi… - Applied Sciences, 2022 -
Parameter sensitivity analysis is a significant part of quantifying model uncertainty,
effectively identifying key parameters, and improving the efficiency of parameter …
effectively identifying key parameters, and improving the efficiency of parameter …
Hydrological modeling in the Upper Blue Nile basin using soil and water analysis tool (SWAT)
Hydrological models are essential to understand the hydrological response of the basin. It is
one of the most significant aspects of water resources management and development …
one of the most significant aspects of water resources management and development …
Response of runoff and nitrogen loadings to climate and land use changes in the middle Fenhe River basin in Northern China
X Zhu, K Chang, W Cai, A Zhang, G Yue… - Journal of Water and …, 2022 -
Investigating and understanding the responses of runoff and nitrogen loading to climate and
land use change is particularly important for future water resources management. In this …
### Unrelated to this entry: quantum chemistry results
┌──
Molecular formula: C21H26BCl4O2
Method: DFT, ωB97M-V/def2-TZVPD

Properties
- E_LUMO (eV) = 2.7
- HOMO (eV) = -5.94
- orbital gap (hartree) = 0.31649

Structure (ORCA input):
```
! RIJCOSX wB97M-V def2-TZVPD def2/J DEFGRID3
* xyz -1 1
H 3.654 -0.874 -3.165
H 2.152 2.880 -0.236
C 0.508 -0.257 -0.995
Cl 2.585 2.371 2.972
C 0.596 2.305 -1.624
C -3.708 -0.358 2.977
C -0.310 0.115 1.287
H -1.243 3.399 -1.662
C 2.142 -1.772 -1.926
C -2.028 1.741 2.184
O -0.525 0.003 -0.094
H 0.952 4.157 -0.583
H -1.448 -1.839 0.182
C 0.979 -3.209 0.746
H 1.544 -4.404 -1.530
Cl 3.028 -0.078 1.191
B 1.802 0.809 2.335
H -1.581 -3.608 0.071
C -3.170 2.020 2.935
C 0.968 -1.583 -1.191
H 0.670 4.090 -2.810
H 2.223 3.268 -2.695
H -1.676 -2.598 -1.409
H 0.063 -0.858 1.632
Cl 1.375 -0.386 3.747
C -3.967 0.959 3.400
O 0.591 1.118 1.588
C 0.308 -2.854 -0.591
H -2.313 -1.635 1.916
C -1.667 0.410 1.937
H -1.377 2.531 1.823
H 1.045 -2.345 1.418
H -1.382 1.806 -0.885
H 0.184 -3.824 -2.542
C 0.504 -4.062 -1.519
H -3.441 3.033 3.189
C 1.145 3.101 -2.807
H 0.543 2.802 0.494
C 2.775 -0.705 -2.542
C 2.294 0.580 -2.359
H 0.936 2.610 -3.763
H 2.001 -3.570 0.559
C -0.921 2.354 -1.706
C 1.126 0.840 -1.645
H -1.251 1.920 -2.654
H -0.106 -4.899 -1.155
C 1.088 3.080 -0.407
H 0.397 -4.007 1.229
H -4.402 -1.154 3.243
C -1.199 -2.706 -0.426
H 2.540 -2.783 -2.030
Cl -5.277 1.272 4.459
C -2.551 -0.627 2.245
H 2.825 1.421 -2.810
*
```

* * * * *

No. 1
Below is C18H21N7O2 in the gas phase at a distorted geometry, with properties calculated with wB97M-V/def2-TZVPD.

```
! RIJCOSX wB97M-V def2-TZVPD def2/J DEFGRID3
* xyz 0 1
C -0.7401 3.2513 0.0081
C 0.5347 2.5344 -0.3868
N 0.2287 1.0821 -0.6794
C -0.1353 0.5358 -1.9054
C -0.6866 1.2683 -3.1046
N -0.9277 2.5193 -3.2667
O -1.3887 2.6919 -4.4970
N -1.5981 1.4787 -5.1426
C -1.0679 0.5618 -4.3871
N -1.0461 -0.7211 -4.8335
N 0.0239 -0.8163 -1.7481
C 0.2292 -1.0749 -0.3918
C 0.1983 -2.3066 0.3646
C -0.0322 -3.4949 -0.4262
C -0.0192 -4.5216 -1.0868
C -0.1210 -5.7562 -1.8353
C -1.5579 -6.1948 -2.1849
C -0.5230 -5.7925 -3.2764
N 0.6022 -2.3691 1.6599
C 0.9033 -1.2169 2.3456
C 0.7284 0.0408 1.6694
O 0.8603 1.1811 2.3407
C 1.1314 1.0875 3.7613
C 1.2961 2.4695 4.3144
C 0.2978 3.5259 4.0108
N 0.5803 4.8534 4.4808
C 0.3841 0.1209 0.3171
H -1.3170 2.6533 0.7019
H -0.4258 4.2379 0.4752
H -1.3345 3.4127 -0.8396
H 1.4108 2.6097 0.2469
H 0.8171 3.0297 -1.3677
H -1.0572 -0.8036 -5.8203
H -0.5056 -1.3706 -4.2327
H 0.6014 -6.6165 -1.5040
H -1.7389 -7.2969 -1.9519
H -2.3718 -5.4633 -2.0651
H -0.2033 -6.5532 -3.9262
H -0.7075 -4.8076 -3.7153
H 1.4073 -1.2217 3.3019
H 2.1235 0.5172 4.0269
H 0.1531 0.7824 4.1317
H 2.2672 2.7968 3.9511
H 1.2597 2.4143 5.3677
H 0.1608 3.6076 2.9300
H -0.6703 3.1886 4.4088
H 0.4955 4.8648 5.5341
H 1.4806 5.0806 4.2268
*
```

Properties
Relative energy (zero: lowest compared OMol25 entry of this formula, charge and spin): 6.3410 eV
SMILES: CCn1c(-c2nonc2N)nc2c(C#CC3CC3)ncc(OCCCN)c21
Frontier orbital gap: 7.59 eV
HOMO: -0.28653 hartree
└──
land use change is particularly important for future water resources management. In this …
Effect of watershed delineation and climate datasets density on runoff predictions for the Upper Mississippi River Basin using SWAT within HAWQS
The quality of input data and the process of watershed delineation can affect the accuracy of
runoff predictions in watershed modeling. The Upper Mississippi River Basin was selected …
runoff predictions in watershed modeling. The Upper Mississippi River Basin was selected …